Current Track: Blabb

Misplaced crystal structures:
┌──
[1]
# Tl3PbI5
Theoretical powder XRD pattern, Cu Kα, 1.54184 Å. Input: the PBE geometry in the Materials Project.

Peak list (10 most intense, 5° ≤ 2θ ≤ 70°, most intense first)
| d_spacing | intensity |
| --- | --- |
| 3.313 | 100.0 |
| 2.972 | 74.7 |
| 2.858 | 62.9 |
| 3.033 | 46.9 |
| 2.994 | 42.4 |
| 3.048 | 34.9 |
| 3.278 | 31.8 |
| 3.344 | 30.2 |
| 2.232 | 28.6 |
| 2.061 | 24.1 |

Structure:
Cell: 9.1226 9.8332 16.5897 Å, 90.00 90.00 90.00°
Sites, in units of the cell vectors:
Tl: 0.0620 0.0906 0.2831
Tl: 0.0790 0.1681 0.9741
Tl: 0.2240 0.7035 0.0532
Tl: 0.2760 0.2965 0.5532
Tl: 0.4210 0.8319 0.4741
Tl: 0.4380 0.9094 0.7831
Tl: 0.5620 0.4094 0.7169
Tl: 0.5790 0.3319 0.0259
Tl: 0.7240 0.7965 0.9468
Tl: 0.7760 0.2035 0.4468
Tl: 0.9210 0.6681 0.5259
Tl: 0.9380 0.5906 0.2169
Pb: 0.0787 0.5488 0.7946
Pb: 0.4213 0.4512 0.2946
Pb: 0.5787 0.9512 0.2054
Pb: 0.9213 0.0488 0.7054
I: 0.0797 0.9965 0.5275
I: 0.0850 0.8552 0.8643
I: 0.0974 0.4408 0.3903
I: 0.2277 0.2149 0.7763
I: 0.2278 0.3493 0.1471
I: 0.2722 0.6507 0.6471
I: 0.2723 0.7851 0.2763
I: 0.4026 0.5592 0.8903
I: 0.4150 0.1448 0.3643
I: 0.4203 0.0035 0.0275
I: 0.5797 0.5035 0.4725
I: 0.5850 0.6448 0.1357
I: 0.5974 0.0592 0.6097
I: 0.7278 0.1507 0.8529
I: 0.7277 0.2851 0.2237
I: 0.7723 0.7149 0.7237
I: 0.7722 0.8493 0.3529
I: 0.9026 0.9408 0.1097
I: 0.9150 0.3552 0.6357
I: 0.9203 0.4965 0.9725



[2]
# Sr2Mg
Theoretical powder XRD pattern, Cu Kα, 1.54184 Å. Input: the PBE geometry in the Materials Project.

Peak list (10 most intense, 5° ≤ 2θ ≤ 70°, most intense first)
| d_spacing | intensity |
| --- | --- |
| 3.053 | 100.0 |
| 3.911 | 45.4 |
| 3.127 | 34.8 |
| 1.791 | 20.7 |
| 2.947 | 17.4 |
| 4.023 | 17.2 |
| 1.878 | 15.1 |
| 2.349 | 15.0 |
| 3.342 | 13.0 |
| 1.716 | 11.8 |

Structure:
Cell: 10.2337 10.2337 6.2533 Å, 90.00 90.00 156.85°
Sites, in units of the cell vectors:
Sr: 0.0839 0.9161 0.7500
Sr: 0.2108 0.7892 0.2500
Sr: 0.7892 0.2108 0.7500
Sr: 0.9161 0.0839 0.2500
Mg: 0.4396 0.5604 0.7500
Mg: 0.5604 0.4396 0.2500



[3]
# CsRb2GdCl6
Theoretical powder XRD pattern, Cu Kα, 1.54184 Å. Input: the PBE geometry in the Materials Project.

Peak list (10 most intense, 5° ≤ 2θ ≤ 70°, most intense first)
| d_spacing | intensity |
| --- | --- |
| 4.198 | 100.0 |
| 2.969 | 60.3 |
| 2.424 | 45.1 |
| 2.099 | 41.1 |
| 1.587 | 28.1 |
| 5.937 | 27.4 |
| 1.878 | 25.6 |
| 1.714 | 13.6 |
| 1.399 | 12.4 |
| 2.655 | 12.0 |

Structure:
Cell: 8.3966 8.3966 8.3966 Å, 60.00 60.00 60.00°
Sites, in units of the cell vectors:
Cs: 0.0000 0.0000 0.0000
Rb: 0.2500 0.2500 0.2500
Rb: 0.7500 0.7500 0.7500
Gd: 0.5000 0.5000 0.5000
Cl: 0.2752 0.2752 0.7248
Cl: 0.2752 0.7248 0.2752
Cl: 0.2752 0.7248 0.7248
Cl: 0.7248 0.2752 0.2752
Cl: 0.7248 0.2752 0.7248
Cl: 0.7248 0.7248 0.2752



[4]
# PmAlAu2
Theoretical powder XRD pattern, Cu Kα, 1.54184 Å. Input: the PBE geometry in the Materials Project.

Peak list (9 most intense, 5° ≤ 2θ ≤ 70°, most intense first)
| d_spacing | intensity |
| --- | --- |
| 2.462 | 100.0 |
└──
The text goes on:

You knew that going too far off the beaten path in this unfamiliar part of the woods could be a bad idea, but you hadn't expected things to go so horribly wrong so quickly. First you were knocked out by something unseen, then you woke up to find yourself tied up against ... something. A rope had been tied firmly around your left wrist, wrapped around this thing behind you, and then tied to your right wrist to keep you in place. Your ankles had received similar treatment, leaving your legs slightly spread eagle. It was too dark to see anything yet, but you felt like you were tied with your back against a tree.

Well, not exactly a tree. You couldn't see what it was, but it definitely didn't feel like bark against your exposed back. You were too bewildered by your situation to care about the night air against your bare hide; you just knew you wanted to be somewhere other than here. It didn't help that there was a lingering smell in the area, something that you couldn't quite place but that seemed to build up the more you breathed of it. It briefly reminded you of taking off your shoes after a long day, but it the thought seemed to strange to be real.

== Crystal structures that have nothing to do with the page ==
~~~
Simulated XRD peak list
Compound: Sr3In3Rh2
Radiation: Cu Kα
Structure: a crystal structure in Alexandria, relaxed with GGA-PBE
No peak broadening, texture or thermal motion is included.

Atomic structure:
```
Sr3In3Rh2
1.0
8.538 0.000 0.000
0.000 16.562 0.000
0.000 0.000 6.292
Sr In Rh
12 12 8
direct
0.039 0.109 0.102
0.039 0.391 0.102
0.187 0.250 0.623
0.313 0.750 0.123
0.461 0.609 0.602
0.461 0.891 0.602
0.539 0.109 0.398
0.539 0.391 0.398
0.687 0.250 0.877
0.813 0.750 0.377
0.961 0.609 0.898
0.961 0.891 0.898
0.161 0.750 0.599
0.168 0.038 0.605
0.168 0.462 0.605
0.332 0.538 0.105
0.332 0.962 0.105
0.339 0.250 0.099
0.661 0.750 0.901
0.668 0.038 0.895
0.668 0.462 0.895
0.832 0.538 0.395
0.832 0.962 0.395
0.839 0.250 0.401
0.125 0.604 0.386
0.125 0.896 0.386
0.375 0.104 0.886
0.375 0.396 0.886
0.625 0.604 0.114
0.625 0.896 0.114
0.875 0.104 0.614
0.875 0.396 0.614
```

The 8 most intense peaks (2θ from 15° to 90°), sorted by position:
(hkl)	2theta	d [Å]	I (rel.)
1 0 1	17.51	5.065	359
2 4 0	30.06	2.973	631
2 4 1	33.34	2.687	847
1 3 2	34.45	2.603	948
3 0 1	34.59	2.593	1000
1 4 2	37.41	2.404	755
1 7 1	42.16	2.144	401
2 4 3	53.47	1.714	418

=====

This entry pairs a crystal structure of Hf3Zr8Pa with its theoretical X-ray powder pattern. Radiation: CuKα. Structure: a structure optimized by DFT (GGA-PBE).
Neutral-atom scattering factors, no anomalous dispersion.

```
data_Hf3Zr8Pa
_cell_length_a 7.7420
_cell_length_b 7.7420
_cell_length_c 10.4336
_cell_angle_alpha 90.00
_cell_angle_beta 90.00
_cell_angle_gamma 90.00
_space_group_name_H-M_alt 'I -4 2 m'
_space_group_IT_number 121
_space_group_name_Hall 'I -4 2'
loop_
_atom_site_label
_atom_site_type_symbol
_atom_site_fract_x
_atom_site_fract_y
_atom_site_fract_z
_atom_site_occupancy
Hf1 Hf 0.0000 0.0000 0.0000 1
Hf2 Hf 0.0000 0.5000 0.2500 1
Zr1 Zr 0.1385 0.1385 0.2648 1
Zr2 Zr 0.2399 0.2399 0.5320 1
Pa1 Pa 0.0000 0.0000 0.5000 1
```

Peak list (10 most intense, 10 to 80 degrees two-theta, most intense first)
- hkl 3 1 2, 40.7°, I 100
- hkl 1 1 2, 23.6°, I 82
- hkl 2 2 0, 32.7°, I 62
- hkl 0 0 4, 34.4°, I 39
- hkl 2 2 4, 48.2°, I 35
- hkl 3 1 6, 65.9°, I 27
- hkl 2 1 1, 27.1°, I 24
- hkl 5 1 2, 63.9°, I 21
- hkl 4 0 2, 50.3°, I 15
- hkl 2 1 3, 36.6°, I 15



This entry pairs a crystal structure of Hf3Zr2Pa2 with its theoretical X-ray powder pattern. Radiation: CuKα. Structure: a structure optimized by DFT (GGA-PBE).
Neutral-atom scattering factors, no anomalous dispersion.

```
data_Hf3Zr2Pa2
_cell_length_a 3.1344
_cell_length_b 6.1261
_cell_length_c 9.1347
_cell_angle_alpha 87.79
_cell_angle_beta 89.99
_cell_angle_gamma 75.20
_space_group_name_H-M_alt 'P -1'
_space_group_IT_number 2
loop_
_space_group_symop_operation_xyz
'x,y,z'
'-x,-y,-z'
loop_
_atom_site_label
_atom_site_type_symbol
_atom_site_fract_x
_atom_site_fract_y
_atom_site_fract_z
_atom_site_occupancy
Hf1 Hf 0.0000 0.0000 0.0000 1
Hf2 Hf 0.3313 0.3376 0.6015 1
Zr1 Zr 0.0602 0.8814 0.6579 1
Pa1 Pa 0.2706 0.4588 0.1318 1
```
~~~

As night slowly gave way to morning, you could start to see more of your surroundings. The terrain in front of you seemed strange. Unnatural. It was a dark shade of gray, with a strangely regular pattern of valleys carved through it. Aside from that pattern, you noticed the ground dipped steeply in an area closest to you, almost like a well-weathered crater, while a hill rose up and obscured your further view. You tried to turn your head side to side, but with your arms stretched to your side, moving your neck was a challenge. A loud creaking noise made you jump, or at least as close to jumping as you could manage in this situation. You heard a couple loud thumps as if distant thunder were rumbling across the land. Then the noise came again, louder. And then, as if from a terrible B-movie, you saw what you could only describe as a monster.

Looming far, far above you was some sort of ... thing. You couldn't tell what it was, as even straining your neck you couldn't see past this thing's knees. Its skin was a deep, emerald green, and seemed to glisten with some sort of natural wetness. Perhaps it had just left the shower? Whatever it was, it walked on two legs, and its feet were right in front of you. Your gaze drifted down as your neck gave out, leaving you to stare at the toes before you. The being's stance was digitigrade, with its weight resting heavily on three toes. The foot seemed rather broad for its size, rising well into the air, with two hind toes instead of a heel.

It took another step forward, then crouched down toward you. Did it see you? You tried to press yourself against the object at your back, hoping not to be noticed. Perhaps you were too small to be seen. You almost hoped you were. You wondered if it would be worse to be seen or not. Your thoughts were quickly cut off as the world seemed to move.

Sovrim slid out of bed and looked down at his sandals. They were a fully-custom job, meant to accommodate his chameleon-like feet. Their thin soles were just the sort of thing to keep his sensitive soles protected from the searing heat of the pavement on a summer's day without depriving him of natural sensitivity. He smiled and reached down, preparing to put on his footwear before another long day.

You kept struggling against your bounds as you started to notice more details about what you'd been tied to. This giant's fingers were wrapped around a strap that arched well above your head. The material was tethered to the object to which you were bound. As the ground moved, you noticed other straps well in the distance, past what was once your horizon. Then, this beast's foot came barreling toward you with dizzying speed. You screamed. You prayed. You cursed. You went completely unheard. The two largest toes quickly slid around you and past you until your face was nearly smothered into the flesh between those house-sized digits.

Slowly, you pieced together the puzzle. The scent. The rubbery material at your back. You, somehow, had been tied to the strap of this titan's footwear. As the giant began to walk, the movements were dizzying. Each step sent you swinging backward before you crashed into the ground again. His toes moved forward and back with each step, slamming into your torso every now and again, while you were lost between those enormous digits. When he went outside, the light brightened considerably, and then the heat began to rise. Whether it was sweat or something else, the toes began to coat you in a strongly-scented musk that could never be confused for the scent of something other than feet.

Calculated crystals, kept here for reference:
~~~
Starting from a DFT-relaxed cell (GGA-PBE, Alexandria), the X-ray powder pattern of LiPuMgO5 was computed for Cu Kα (λ = 1.5418 Å).
Lines closer than 0.1° are merged.

Structural model:
```
LiPuMgO5
1.0
3.153 -4.644 0.000
3.153 4.644 0.000
-2.926 0.000 7.035
Li Pu Mg O
2 2 2 10
Direct
0.054 0.946 0.750
0.946 0.054 0.250
0.000 0.500 0.000
0.500 0.000 0.500
0.414 0.586 0.750
0.586 0.414 0.250
0.178 0.325 0.856
0.194 0.803 0.565
0.197 0.806 0.935
0.325 0.178 0.356
0.363 0.637 0.250
0.637 0.363 0.750
0.675 0.822 0.644
0.803 0.194 0.065
0.806 0.197 0.435
0.822 0.675 0.144
```

Most intense lines, 2θ from 5° to 70°, by angle:
Position (°2θ)  d [Å]  intensity
18.30  4.848  100
19.11  4.644  45
25.20  3.534  61
25.32  3.517  18
31.92  2.804  37
32.95  2.719  24

* * * * *

No. 1
Calculated PXRD pattern
Compound: AlH15O6F6
Radiation: λ = 1.5418 Å (Cu Kα)
Structure: a DFT-relaxed cell (PBE, Alexandria)
Peak positions follow from Bragg's law for the DFT cell and can differ from measured ones.

The 6 most intense peaks (10° ≤ 2θ ≤ 80°), in order of rising 2θ:
2θ/deg, d (Å), I/Imax
14.33, 6.182, 98
14.55, 6.088, 44
17.49, 5.072, 58
17.77, 4.992, 100
22.85, 3.892, 99
29.35, 3.043, 38

Atomic structure:
Cell: 8.1986 8.1991 8.2064 Å, 76.38 75.05 74.99°
Element x y z (fractional)
Al  0.0000  0.0000  0.0000
Al  0.5000  0.5000  0.5000
H  0.0490  0.7066  0.8165
H  0.0638  0.4184  0.2525
H  0.1298  0.1352  0.6349
H  0.1321  0.6309  0.1344
H  0.1328  0.6355  0.6295
H  0.1881  0.9500  0.2960
H  0.2002  0.5532  0.3141
H  0.2487  0.0726  0.4306
H  0.3000  0.1856  0.9472
H  0.3105  0.2065  0.5518
H  0.3669  0.8705  0.8641
H  0.3684  0.3651  0.8692
H  0.3684  0.8672  0.3676
H  0.4367  0.2474  0.0824
H  0.4508  0.6832  0.7930
H  0.5492  0.3168  0.2070
H  0.5633  0.7526  0.9176
H  0.6316  0.1328  0.6324
H  0.6316  0.6349  0.1308
H  0.6331  0.1295  0.1359
H  0.6895  0.7935  0.4482
H  0.7000  0.8144  0.0528
H  0.7513  0.9274  0.5694
H  0.7998  0.4468  0.6859
H  0.8119  0.0500  0.7040
H  0.8672  0.3645  0.3705
H  0.8679  0.3691  0.8656
H  0.8702  0.8648  0.3651
H  0.9362  0.5816  0.7475
H  0.9510  0.2934  0.1835
O  0.0249  0.6742  0.7152
O  0.1672  0.5253  0.2170
O  0.2115  0.1730  0.5275
O  0.2862  0.9746  0.3305
O  0.3333  0.2826  0.9748
O  0.4748  0.7848  0.8253
O  0.5252  0.2152  0.1747
O  0.6667  0.7174  0.0252
O  0.7138  0.0254  0.6695
O  0.7885  0.8270  0.4725
O  0.8328  0.4747  0.7830
O  0.9751  0.3258  0.2848
F  0.0307  0.9287  0.2213
F  0.0709  0.7755  0.9688
F  0.2252  0.0249  0.9242
F  0.2748  0.5758  0.4750
F  0.4291  0.5309  0.7244
F  0.4697  0.2783  0.5708
F  0.5303  0.7217  0.4292
F  0.5709  0.4691  0.2756
F  0.7252  0.4242  0.5250
F  0.7748  0.9751  0.0758
F  0.9291  0.2245  0.0312
F  0.9693  0.0713  0.7787

No. 2
Calculated PXRD pattern
Compound: AlH2Pb3OF9
Radiation: λ = 1.5418 Å (Cu Kα)
Structure: a DFT-relaxed cell (PBE, Alexandria)
Peak positions follow from Bragg's law for the DFT cell and can differ from measured ones.
~~~

And despite your struggling and suffering, Sovrim simply went about his business today, unaware of the ant-sized passenger between his toes.